

Nawal Mostafa

Children of Female Prisoners Association

Member since 30 March 2017 @ 11:03pm

...ffenses” Project. 3. Monthly visits to Qanater Prison. 4. Post-release projects. helped released female prisoners to start and successfully run their own small businesses. 5. Collaboration eff...

Samer Al-Kasih

United Religions Initiative

Member since 19 January 2017 @ 12:38am

...cco for 2014/ 2015. Also, they have many CCs "small groups" focus on women empowe...- Organized/ co-organized 16 Euro-med youth projects (Youth Exchanges and training...2009 and participated with them in different projects. - URI MENA is accredited f...


Nawal Mustafa

Nawal Mustafa won the Princess Sabeeka Al Khalifa International Award for Women Empowerment

Created by Nawal Mustafa 780 days ago income resource for them. She also succeeded in training 6,000 women in handicrafts, employing 2,000 women, and establishing more than 650 small projects, in addition to providing med...

Foundation's Team

CLUSTER joins the Union for the Mediterranean Ministerial Policy Conference, an event to foster employment among youth and women in the region

Created by Foundation's Team 1001 days ago

...osted by H.E. Mr Younes Sekkouri, Minister of Economic Inclusion, Small Enterprises, Employment and S...tionary approaches, as it capitalizes on successful practices of other projects and applies this model i...

Nawal Mustafa

The Egyptian Ministry of Social Solidarity sponsored the Nawal Mostafa Women Entrepreneurs Competition

Created by Nawal Mustafa 1053 days ago

Three projects for women from the New Valley, Cairo and Marsa Matrouh go...or 3 winners to receive full support for their projects, and the second...s and training courses in entrepreneurship and small projects, with the aim of encouraging...

Calls and opportunities

Foundation's Team

Call for Proposals: COVID-19 Emergency Response Funding - WPHF

Created by Foundation's Team 1770 days ago

...couraged to apply. Joint CSOs projects are allowed and encouraged...s funding stream will finance projects which aim specifically to pro...s, namely daily wage earners, small business owners and those workin...unds and support to women-led small businesses. Restoring and stren...


Foundation's Team

Cherie Blair Foundation for Women

Created by Foundation's Team 3433 days ago

...Blair Foundation for Women focuses on developing women’s micro, small and medium enterprises into growing and sustainable businesses. They develop projects with sustainable solutions to...


Hala Bugaighis

Libyan Businesswomen: Reality and Prospects

Created by Hala Bugaighis 1734 days ago

Entrepreneurship and small and medium business are considered to be an...own businesses. Turning them into successful projects has not been an easy task for...ommendations on how to make the most of their projects....

'''
Entry 1:
Theoretical XRD peak list of RbSnF3 for a wavelength of 1.5418 Å, from a PBE-relaxed structure.
Intensities are scaled so that the largest is 100.

```
data_RbSnF3
_chemical_formula_sum 'Rb1 Sn1 F3'
_cell_length_a 4.6099
_cell_length_b 4.6393
_cell_length_c 5.3003
_cell_angle_alpha 83.32
_cell_angle_beta 85.56
_cell_angle_gamma 89.56
_space_group_name_H-M_alt 'P 1'
_space_group_IT_number 1
loop_
_space_group_symop_operation_xyz
'x,y,z'
loop_
_atom_site_label
_atom_site_fract_x
_atom_site_fract_y
_atom_site_fract_z
Rb1 0.0000 0.0000 0.0000
Sn1 0.5310 0.5485 0.5702
F1 0.0481 0.5368 0.6485
F2 0.5117 0.5204 0.9687
F3 0.5272 0.0734 0.6510
```

Principal peaks in the range 15 to 90 degrees two-theta, most intense first:
two_theta	intensity
27.41	100.0
24.18	64.1
24.75	61.6
26.75	53.5
27.19	51.7
16.89	40.6

Entry 2:
Theoretical XRD peak list of NdCl2 for a wavelength of 1.5418 Å, from a PBE-relaxed structure.
Intensities are scaled so that the largest is 100.

```
data_NdCl2
_chemical_formula_sum 'Nd2 Cl4'
_cell_length_a 7.1613
_cell_length_b 7.1613
_cell_length_c 3.5944
_cell_angle_alpha 90.00
_cell_angle_beta 90.00
_cell_angle_gamma 90.00
_space_group_name_H-M_alt 'P 42/m n m'
_space_group_IT_number 136
_space_group_name_Hall '-P 4n 2n'
loop_
_atom_site_label
_atom_site_fract_x
_atom_site_fract_y
_atom_site_fract_z
Nd1 0.0000 0.0000 0.0000
Cl1 0.2198 0.2198 0.5000
```

Principal peaks in the range 15 to 90 degrees two-theta, most intense first:
two_theta	intensity
17.51	100.0
37.62	66.6
27.77	53.8
35.45	33.7
45.62	26.0
39.81	21.9


No. 1
Computed XRD peak list of LiCoCO4 for Cu Kα (weighted mean of Kα1 and Kα2), from a DFT-relaxed cell (PBE+U, the Materials Project).
Neutral-atom scattering factors, no anomalous dispersion.

Crystal structure
```
data_LiCoCO4
_cell_length_a 3.1540
_cell_length_b 9.4240
_cell_length_c 9.6751
_cell_angle_alpha 90.00
_cell_angle_beta 108.17
_cell_angle_gamma 90.00
_symmetry_space_group_name_H-M 'P 1 21/c 1'
_symmetry_Int_Tables_number 14
_symmetry_space_group_name_Hall '-P 2ybc'
loop_
_atom_site_label
_atom_site_fract_x
_atom_site_fract_y
_atom_site_fract_z
Li1 0.0723 0.0925 0.3164
Co1 0.2948 0.6179 0.5512
C1 0.4023 0.1686 0.6376
O1 0.1410 0.5023 0.3846
O2 0.2783 0.2458 0.5151
O3 0.3742 0.0363 0.6290
O4 0.4529 0.7377 0.7389
```

Top 12 peaks for 10° ≤ 2θ ≤ 90°, in order of rising 2θ:
| 2θ (°) | I_rel |
| --- | --- |
| 13.46 | 1000 |
| 19.31 | 303 |
| 21.19 | 234 |
| 30.08 | 144 |
| 30.68 | 126 |
| 34.21 | 515 |
| 34.93 | 226 |
| 41.65 | 96 |
| 41.87 | 132 |
| 50.42 | 113 |
| 57.61 | 106 |
| 58.53 | 145 |

=====

No. 2
Computed XRD peak list of Li2CoC2O6 for Cu Kα (weighted mean of Kα1 and Kα2), from a DFT-relaxed cell (PBE+U, the Materials Project).
Neutral-atom scattering factors, no anomalous dispersion.

Crystal structure
```
data_Li2CoC2O6
_cell_length_a 5.1751
_cell_length_b 7.9295
_cell_length_c 6.4904
_cell_angle_alpha 90.00
_cell_angle_beta 113.48
_cell_angle_gamma 90.00
'''

Foundation's Team

The role of Egyptian radio stations in supporting women's small projects

Created by Foundation's Team 2421 days ago monitor the interest of Egyptian radio stations in women’s small projects and examine their role in...dia content that radio stations employ to encourage women to create small projects....

Foundation's Team

National study on small-scale family farming in Egypt

Created by Foundation's Team 2455 days ago the aim of producing a comprehensive assessment of the situation of small-scale family farming (charact...rural areas. The study also sheds lights on several success stories of projects and associations who were abl...


Foundation's Team

The role of Egyptian radio stations in supporting women's small projects / دور الإذاعة المصرية في دعم المشاريع الصغيرة للمرأة / Le rôle des radios égyptiennes dans le soutien aux petites entreprises dirigées par des femmes

Created by Foundation's Team 2421 days ago

The aim of this study is to monitor the interest of Egyptian radio stations in women’s small projects and examine their role in the economic empowerment of women. The study sheds light on women’s participation in the Egyptian labour market through the implementation and man...

**What comes next are records of crystals, not part of the page:**
┌──
Diffraction record for Li3V4FeO12. The powder XRD pattern is theoretical, not measured: it uses the GGA+U geometry in Alexandria and λ = 1.5418 Å (Cu Kα).

Structural model:
a = 5.642 Å, b = 6.893 Å, c = 6.895 Å
α = 76.56°, β = 72.88°, γ = 72.84°
Positions (direct):
Li: 0.000 0.000 0.000
Li: 0.001 0.640 0.359
Li: 0.501 0.196 0.804
V: 0.022 0.088 0.468
V: 0.448 0.750 0.705
V: 0.553 0.295 0.251
V: 0.980 0.532 0.911
Fe: 0.501 0.840 0.161
O: 0.078 0.932 0.695
O: 0.117 0.924 0.286
O: 0.198 0.271 0.409
O: 0.312 0.503 0.794
O: 0.420 0.913 0.885
O: 0.436 0.560 0.201
O: 0.565 0.798 0.440
O: 0.582 0.115 0.087
O: 0.690 0.205 0.498
O: 0.803 0.591 0.729
O: 0.884 0.713 0.076
O: 0.925 0.305 0.067

Largest 10 diffraction maxima, by angle, 2θ = 10–90°:
- 2θ = 13.6°, intensity 17.0, hkl 0 1 0
- 2θ = 17.7°, intensity 36.9, hkl 0 1 1
- 2θ = 19.0°, intensity 22.2, hkl 1 0 1
- 2θ = 27.0°, intensity 28.7, hkl 1 1 -1
- 2θ = 27.7°, intensity 13.1, hkl 1 2 1
- 2θ = 28.6°, intensity 100.0, hkl 1 2 0
- 2θ = 34.3°, intensity 21.7, hkl 2 0 0
- 2θ = 40.2°, intensity 16.8, hkl 2 0 -1
- 2θ = 53.2°, intensity 19.4, hkl 1 1 4
- 2θ = 59.9°, intensity 14.1, hkl -2 2 2


For PrZr4Rh5, a DFT-relaxed cell (PBE, Alexandria) gives the calculated powder X-ray diffraction pattern in this record (copper Kα).

Crystal structure
Cell lengths 3.3298, 3.3298, 17.0945 Å; angles 90.00, 90.00, 90.00 degrees
Positions (direct):
Pr 0.0000 0.0000 0.0000
Zr 0.0000 0.0000 0.2110
Zr 0.0000 0.0000 0.4047
Zr 0.0000 0.0000 0.5953
Zr 0.0000 0.0000 0.7890
Rh 0.5000 0.5000 0.1286
Rh 0.5000 0.5000 0.3113
Rh 0.5000 0.5000 0.5000
Rh 0.5000 0.5000 0.6887
Rh 0.5000 0.5000 0.8714

Main lines, in order of falling intensity (2θ from 10° to 90°):
2θ/deg	intensity	index
37.71	100.0	1 0 5
38.22	59.6	1 1 0
68.76	32.9	2 1 5
55.17	20.1	2 0 0
└──

Foundation's Team

Construire une économie inclusive en Libye: Les défis et les opportunités / من أجل اقتصاد مدمج في ليبيا: التحديات والفرص / Building an Inclusive Economy in Libya - Challenges and opportunities

Created by Foundation's Team 2631 days ago

Cette étude entend comprendre pourquoi les femmes libyennes s’abstiennent d’entrer dans l’économie officielle, et vise à proposer des recommandations susceptible d’encourager les femmes à contribuer officiellement à l’&eac...